== Excerpt ==
- - -
(1)
For Y4Er3In, a structure optimized by DFT (GGA-PBE) gives the simulated powder X-ray diffraction pattern in this record (Cu Kα (λ = 1.5418 Å)).

Atomic structure:
Unit cell a=5.3062 b=10.8322 c=8.5088 alpha=90.00 beta=90.00 gamma=90.00
Space group Pmmn (No. 59, origin choice 2)
Symmetry-distinct sites (fractional):
Y1 0.2500 0.0013 0.1424 (multiplicity 4)
Y2 0.2500 0.2500 0.8458 (multiplicity 2)
Y3 0.2500 0.7500 0.8801 (multiplicity 2)
Er1 0.2500 0.2500 0.4017 (multiplicity 2)
Er2 0.2500 0.5295 0.6042 (multiplicity 4)
In1 0.2500 0.7500 0.3606 (multiplicity 2)

The 10 most intense peaks (10° ≤ 2θ ≤ 80°), in order of falling intensity:
31.6°, I 100, hkl 1 2 2; 33.8°, I 23, hkl 2 0 0; 10.4°, I 21, hkl 0 0 1; 33.1°, I 21, hkl 0 4 0; 59.1°, I 17, hkl 3 2 2; 48.0°, I 14, hkl 2 4 0; 58.2°, I 12, hkl 1 6 2; 42.5°, I 9, hkl 0 0 4; 55.4°, I 8, hkl 2 0 4; 66.0°, I 8, hkl 2 4 4

=====

(2)
For Y7ErIn4, a structure optimized by DFT (GGA-PBE) gives the simulated powder X-ray diffraction pattern in this record (Cu Kα (λ = 1.5418 Å)).

Atomic structure:
Unit cell a=14.5229 b=5.6554 c=10.4875 alpha=90.00 beta=123.89 gamma=90.00
Space group C2/m (No. 12)
Symmetry-distinct sites (fractional):
Y1 0.0000 0.0000 0.0000 (multiplicity 2)
Y2 0.0636 0.5000 0.3938 (multiplicity 4)
Y3 0.2110 0.5000 0.8787 (multiplicity 4)
Y4 0.2195 0.0000 0.6615 (multiplicity 4)
Er1 0.0000 0.5000 0.0000 (multiplicity 2)
In1 0.0601 0.0000 0.7572 (multiplicity 4)
In2 0.1814 0.0000 0.3342 (multiplicity 4)

The 10 most intense peaks (10° ≤ 2θ ≤ 80°), in order of falling intensity:
31.6°, I 100, hkl 0 2 0; 36.3°, I 94, hkl 5 1 -1; 29.9°, I 52, hkl 1 1 2; 28.4°, I 52, hkl 4 0 -3; 30.5°, I 41, hkl 3 1 -3; 33.3°, I 35, hkl 3 1 1; 43.0°, I 33, hkl 4 2 -3; 30.8°, I 23, hkl 0 0 3; 35.2°, I 23, hkl 2 0 -4; 59.4°, I 22, hkl 5 3 -1

=====

(3)
For Y3Er2In, a structure optimized by DFT (GGA-PBE) gives the simulated powder X-ray diffraction pattern in this record (Cu Kα (λ = 1.5418 Å)).

Atomic structure:
Unit cell a=4.8824 b=15.0493 c=4.8395 alpha=90.00 beta=90.00 gamma=90.00
Space group Cmmm (No. 65)
Symmetry-distinct sites (fractional):
Y1 0.0000 0.0000 0.0000 (multiplicity 2)
Y2 0.0000 0.3321 0.0000 (multiplicity 4)
Er1 0.0000 0.1628 0.5000 (multiplicity 4)
In1 0.0000 0.5000 0.5000 (multiplicity 2)

The 10 most intense peaks (10° ≤ 2θ ≤ 80°), in order of falling intensity:
31.6°, I 100, hkl 1 3 1; 35.8°, I 18, hkl 0 6 0; 36.8°, I 16, hkl 2 0 0; 37.2°, I 16, hkl 0 0 2; 61.7°, I 14, hkl 1 9 1; 63.0°, I 13, hkl 3 3 1; 63.5°, I 13, hkl 1 3 3; 52.3°, I 12, hkl 2 6 0; 65.9°, I 12, hkl 2 6 2; 52.6°, I 12, hkl 0 6 2

=====

(4)
For YEr6In2, a structure optimized by DFT (GGA-PBE) gives the simulated powder X-ray diffraction pattern in this record (Cu Kα (λ = 1.5418 Å)).

Atomic structure:
Unit cell a=12.6087 b=3.7109 c=11.8407 alpha=90.00 beta=108.29 gamma=90.00
Space group C2/m (No. 12)
Symmetry-distinct sites (fractional):
Y1 0.0000 0.0000 0.0000 (multiplicity 2)
Er1 0.0143 0.0000 0.3427 (multiplicity 4)
Er2 0.1840 0.5000 0.8760 (multiplicity 4)
Er3 0.1885 0.5000 0.5829 (multiplicity 4)
In1 0.1446 0.5000 0.2088 (multiplicity 4)

The 10 most intense peaks (10° ≤ 2θ ≤ 80°), in order of falling intensity:
31.9°, I 100, hkl 4 0 -3; 33.1°, I 93, hkl 1 1 -3; 33.0°, I 90, hkl 3 1 0; 59.7°, I 34, hkl 4 2 -3; 57.7°, I 28, hkl 5 1 -6; 57.4°, I 23, hkl 7 1 -3; 49.1°, I 17, hkl 0 2 0; 46.0°, I 15, hkl 2 0 -6; 45.5°, I 12, hkl 6 0 0; 27.1°, I 10, hkl 1 1 1

=====

What did the third record say?
For Y3Er2In, a structure optimized by DFT (GGA-PBE) gives the simulated powder X-ray diffraction pattern in this record (Cu Kα (λ = 1.5418 Å)).

Atomic structure:
Unit cell a=4.8824 b=15.0493 c=4.8395 alpha=90.00 beta=90.00 gamma=90.00
Space group Cmmm (No. 65)
Symmetry-distinct sites (fractional):
Y1 0.0000 0.0000 0.0000 (multiplicity 2)
Y2 0.0000 0.3321 0.0000 (multiplicity 4)
Er1 0.0000 0.1628 0.5000 (multiplicity 4)
In1 0.0000 0.5000 0.5000 (multiplicity 2)
- - -

== Brief ==
Give back the whole of the listing earlier on unchanged.

== Written answer ==
(1)
For Y4Er3In, a structure optimized by DFT (GGA-PBE) gives the simulated powder X-ray diffraction pattern in this record (Cu Kα (λ = 1.5418 Å)).

Atomic structure:
Unit cell a=5.3062 b=10.8322 c=8.5088 alpha=90.00 beta=90.00 gamma=90.00
Space group Pmmn (No. 59, origin choice 2)
Symmetry-distinct sites (fractional):
Y1 0.2500 0.0013 0.1424 (multiplicity 4)
Y2 0.2500 0.2500 0.8458 (multiplicity 2)
Y3 0.2500 0.7500 0.8801 (multiplicity 2)
Er1 0.2500 0.2500 0.4017 (multiplicity 2)
Er2 0.2500 0.5295 0.6042 (multiplicity 4)
In1 0.2500 0.7500 0.3606 (multiplicity 2)

The 10 most intense peaks (10° ≤ 2θ ≤ 80°), in order of falling intensity:
31.6°, I 100, hkl 1 2 2; 33.8°, I 23, hkl 2 0 0; 10.4°, I 21, hkl 0 0 1; 33.1°, I 21, hkl 0 4 0; 59.1°, I 17, hkl 3 2 2; 48.0°, I 14, hkl 2 4 0; 58.2°, I 12, hkl 1 6 2; 42.5°, I 9, hkl 0 0 4; 55.4°, I 8, hkl 2 0 4; 66.0°, I 8, hkl 2 4 4

=====

(2)
For Y7ErIn4, a structure optimized by DFT (GGA-PBE) gives the simulated powder X-ray diffraction pattern in this record (Cu Kα (λ = 1.5418 Å)).

Atomic structure:
Unit cell a=14.5229 b=5.6554 c=10.4875 alpha=90.00 beta=123.89 gamma=90.00
Space group C2/m (No. 12)
Symmetry-distinct sites (fractional):
Y1 0.0000 0.0000 0.0000 (multiplicity 2)
Y2 0.0636 0.5000 0.3938 (multiplicity 4)
Y3 0.2110 0.5000 0.8787 (multiplicity 4)
Y4 0.2195 0.0000 0.6615 (multiplicity 4)
Er1 0.0000 0.5000 0.0000 (multiplicity 2)
In1 0.0601 0.0000 0.7572 (multiplicity 4)
In2 0.1814 0.0000 0.3342 (multiplicity 4)

The 10 most intense peaks (10° ≤ 2θ ≤ 80°), in order of falling intensity:
31.6°, I 100, hkl 0 2 0; 36.3°, I 94, hkl 5 1 -1; 29.9°, I 52, hkl 1 1 2; 28.4°, I 52, hkl 4 0 -3; 30.5°, I 41, hkl 3 1 -3; 33.3°, I 35, hkl 3 1 1; 43.0°, I 33, hkl 4 2 -3; 30.8°, I 23, hkl 0 0 3; 35.2°, I 23, hkl 2 0 -4; 59.4°, I 22, hkl 5 3 -1

=====

(3)
For Y3Er2In, a structure optimized by DFT (GGA-PBE) gives the simulated powder X-ray diffraction pattern in this record (Cu Kα (λ = 1.5418 Å)).

Atomic structure:
Unit cell a=4.8824 b=15.0493 c=4.8395 alpha=90.00 beta=90.00 gamma=90.00
Space group Cmmm (No. 65)
Symmetry-distinct sites (fractional):
Y1 0.0000 0.0000 0.0000 (multiplicity 2)
Y2 0.0000 0.3321 0.0000 (multiplicity 4)
Er1 0.0000 0.1628 0.5000 (multiplicity 4)
In1 0.0000 0.5000 0.5000 (multiplicity 2)

The 10 most intense peaks (10° ≤ 2θ ≤ 80°), in order of falling intensity:
31.6°, I 100, hkl 1 3 1; 35.8°, I 18, hkl 0 6 0; 36.8°, I 16, hkl 2 0 0; 37.2°, I 16, hkl 0 0 2; 61.7°, I 14, hkl 1 9 1; 63.0°, I 13, hkl 3 3 1; 63.5°, I 13, hkl 1 3 3; 52.3°, I 12, hkl 2 6 0; 65.9°, I 12, hkl 2 6 2; 52.6°, I 12, hkl 0 6 2

=====

(4)
For YEr6In2, a structure optimized by DFT (GGA-PBE) gives the simulated powder X-ray diffraction pattern in this record (Cu Kα (λ = 1.5418 Å)).

Atomic structure:
Unit cell a=12.6087 b=3.7109 c=11.8407 alpha=90.00 beta=108.29 gamma=90.00
Space group C2/m (No. 12)
Symmetry-distinct sites (fractional):
Y1 0.0000 0.0000 0.0000 (multiplicity 2)
Er1 0.0143 0.0000 0.3427 (multiplicity 4)
Er2 0.1840 0.5000 0.8760 (multiplicity 4)
Er3 0.1885 0.5000 0.5829 (multiplicity 4)
In1 0.1446 0.5000 0.2088 (multiplicity 4)

The 10 most intense peaks (10° ≤ 2θ ≤ 80°), in order of falling intensity:
31.9°, I 100, hkl 4 0 -3; 33.1°, I 93, hkl 1 1 -3; 33.0°, I 90, hkl 3 1 0; 59.7°, I 34, hkl 4 2 -3; 57.7°, I 28, hkl 5 1 -6; 57.4°, I 23, hkl 7 1 -3; 49.1°, I 17, hkl 0 2 0; 46.0°, I 15, hkl 2 0 -6; 45.5°, I 12, hkl 6 0 0; 27.1°, I 10, hkl 1 1 1

=====

What did the third record say?
For Y3Er2In, a structure optimized by DFT (GGA-PBE) gives the simulated powder X-ray diffraction pattern in this record (Cu Kα (λ = 1.5418 Å)).

Atomic structure:
Unit cell a=4.8824 b=15.0493 c=4.8395 alpha=90.00 beta=90.00 gamma=90.00
Space group Cmmm (No. 65)
Symmetry-distinct sites (fractional):
Y1 0.0000 0.0000 0.0000 (multiplicity 2)
Y2 0.0000 0.3321 0.0000 (multiplicity 4)
Er1 0.0000 0.1628 0.5000 (multiplicity 4)
In1 0.0000 0.5000 0.5000 (multiplicity 2)